## Contents
********
[1]
Cu11Au3: computed powder XRD pattern (copper Kα), based on a structure optimized by DFT (GGA-PBE).

Crystal structure
```
Cu11Au3
1.0
-1.994 4.710 5.088
1.994 -4.710 5.088
1.994 4.710 -5.088
Cu Au
11 3
direct
0.000 0.000 0.000 Cu
0.072 0.854 0.219 Cu
0.151 0.500 0.651 Cu
0.243 0.372 0.871 Cu
0.365 0.146 0.219 Cu
0.499 0.628 0.871 Cu
0.501 0.372 0.129 Cu
0.635 0.854 0.781 Cu
0.757 0.628 0.129 Cu
0.849 0.500 0.349 Cu
0.928 0.146 0.781 Cu
0.218 0.718 0.500 Au
0.500 0.000 0.500 Au
0.782 0.282 0.500 Au
```

Top 6 peaks for 2θ from 15° to 90°, by angle:
- 2θ = 36.42°, intensity 62
- 2θ = 39.79°, intensity 100
- 2θ = 40.29°, intensity 43
- 2θ = 43.26°, intensity 69
- 2θ = 45.49°, intensity 53
- 2θ = 45.61°, intensity 51

***

[2]
Dy6Cu2Au: computed powder XRD pattern (copper Kα), based on a structure optimized by DFT (GGA-PBE).

Crystal structure
```
Dy6Cu2Au
1.0
-4.761 4.823 4.948
4.761 -4.823 4.948
4.761 4.823 -4.948
Dy Cu Au
12 4 2
direct
0.059 0.247 0.812 Dy
0.178 0.274 0.452 Dy
0.178 0.726 0.905 Dy
0.326 0.024 0.698 Dy
0.326 0.627 0.302 Dy
0.436 0.247 0.188 Dy
0.564 0.753 0.812 Dy
0.674 0.373 0.698 Dy
0.674 0.976 0.302 Dy
0.822 0.274 0.095 Dy
0.822 0.726 0.548 Dy
0.941 0.753 0.188 Dy
0.121 0.621 0.500 Cu
0.354 0.000 0.354 Cu
0.646 0.000 0.646 Cu
0.879 0.379 0.500 Cu
0.000 0.000 0.000 Au
0.500 0.500 0.000 Au
```

Top 6 peaks for 2θ from 15° to 90°, by angle:
- 2θ = 29.63°, intensity 31
- 2θ = 32.02°, intensity 100
- 2θ = 34.36°, intensity 34
- 2θ = 34.58°, intensity 63
- 2θ = 34.87°, intensity 40
- 2θ = 37.79°, intensity 29

***

[3]
Dy3Cu3Au: computed powder XRD pattern (copper Kα), based on a structure optimized by DFT (GGA-PBE).

Crystal structure
```
Dy3Cu3Au
1.0
3.608 0.000 0.000
0.000 4.313 0.000
0.000 0.000 19.023
Dy Cu Au
6 6 2
direct
0.000 0.000 0.000 Dy
0.000 0.000 0.374 Dy
0.000 0.500 0.181 Dy
0.500 0.000 0.681 Dy
0.500 0.500 0.500 Dy
0.500 0.500 0.874 Dy
0.000 0.000 0.545 Cu
0.000 0.000 0.834 Cu
0.000 0.500 0.615 Cu
0.500 0.000 0.115 Cu
0.500 0.500 0.045 Cu
0.500 0.500 0.334 Cu
0.000 0.500 0.750 Au
0.500 0.000 0.250 Au
```

Top 6 peaks for 2θ from 15° to 90°, by angle:
- 2θ = 24.97°, intensity 23
- 2θ = 33.73°, intensity 100
- 2θ = 34.25°, intensity 50
- 2θ = 39.18°, intensity 41
- 2θ = 41.89°, intensity 30
- 2θ = 55.18°, intensity 26

~~~~~

(1)
This entry pairs a crystal structure of Be3Fe4 with its simulated X-ray powder pattern. Radiation: Cu Kα X-rays. Structure: a cell relaxed with GGA-PBE.

Structure:
Lattice parameters (Å, degrees): 4.213 4.213 4.358 90.00 90.00 120.00
Positions (direct):
1 Be 0.000 0.500 0.000
2 Be 0.500 0.000 0.000
3 Be 0.500 0.500 0.000
4 Fe 0.000 0.000 0.253
5 Fe 0.000 0.000 0.747
6 Fe 0.333 0.667 0.500
7 Fe 0.667 0.333 0.500

Top 8 peaks for 2θ from 5° to 70°, in order of rising 2θ:
d/Å	intensity
4.358	46
3.649	25
2.798	23
2.107	100
1.897	42
1.871	85
1.683	10
1.399	22


(2)
This entry pairs a crystal structure of Sr3Ga9Rh2 with its simulated X-ray powder pattern. Radiation: Cu Kα X-rays. Structure: a cell relaxed with GGA-PBE.

Structure:
Lattice parameters (Å, degrees): 8.530 8.530 8.530 150.26 105.77 81.95
Positions (direct):
1 Sr 0.000 0.000 0.000
2 Sr 0.317 0.317 0.000
3 Sr 0.683 0.683 0.000
4 Ga 0.026 0.673 0.353
5 Ga 0.165 0.883 0.282
6 Ga 0.321 0.673 0.647
7 Ga 0.399 0.117 0.282
8 Ga 0.500 0.000 0.500
9 Ga 0.601 0.883 0.718
10 Ga 0.679 0.327 0.353
11 Ga 0.835 0.117 0.718
12 Ga 0.974 0.327 0.647
13 Rh 0.266 0.500 0.766
14 Rh 0.734 0.500 0.234

Top 8 peaks for 2θ from 5° to 70°, in order of rising 2θ:
d/Å	intensity
2.701	45
2.681	24
2.634	100
2.491	21
2.220	34
2.189	54
2.039	31
1.497	28


(3)
This entry pairs a crystal structure of Dy2TmIn4 with its simulated X-ray powder pattern. Radiation: Cu Kα X-rays. Structure: a cell relaxed with GGA-PBE.

Structure:
Lattice parameters (Å, degrees): 8.148 8.148 8.148 142.58 142.58 53.95
********

## Job
The reader should echo everything earlier on word for word.

## Written answer
[1]
Cu11Au3: computed powder XRD pattern (copper Kα), based on a structure optimized by DFT (GGA-PBE).

Crystal structure
```
Cu11Au3
1.0
-1.994 4.710 5.088
1.994 -4.710 5.088
1.994 4.710 -5.088
Cu Au
11 3
direct
0.000 0.000 0.000 Cu
0.072 0.854 0.219 Cu
0.151 0.500 0.651 Cu
0.243 0.372 0.871 Cu
0.365 0.146 0.219 Cu
0.499 0.628 0.871 Cu
0.501 0.372 0.129 Cu
0.635 0.854 0.781 Cu
0.757 0.628 0.129 Cu
0.849 0.500 0.349 Cu
0.928 0.146 0.781 Cu
0.218 0.718 0.500 Au
0.500 0.000 0.500 Au
0.782 0.282 0.500 Au
```

Top 6 peaks for 2θ from 15° to 90°, by angle:
- 2θ = 36.42°, intensity 62
- 2θ = 39.79°, intensity 100
- 2θ = 40.29°, intensity 43
- 2θ = 43.26°, intensity 69
- 2θ = 45.49°, intensity 53
- 2θ = 45.61°, intensity 51

***

[2]
Dy6Cu2Au: computed powder XRD pattern (copper Kα), based on a structure optimized by DFT (GGA-PBE).

Crystal structure
```
Dy6Cu2Au
1.0
-4.761 4.823 4.948
4.761 -4.823 4.948
4.761 4.823 -4.948
Dy Cu Au
12 4 2
direct
0.059 0.247 0.812 Dy
0.178 0.274 0.452 Dy
0.178 0.726 0.905 Dy
0.326 0.024 0.698 Dy
0.326 0.627 0.302 Dy
0.436 0.247 0.188 Dy
0.564 0.753 0.812 Dy
0.674 0.373 0.698 Dy
0.674 0.976 0.302 Dy
0.822 0.274 0.095 Dy
0.822 0.726 0.548 Dy
0.941 0.753 0.188 Dy
0.121 0.621 0.500 Cu
0.354 0.000 0.354 Cu
0.646 0.000 0.646 Cu
0.879 0.379 0.500 Cu
0.000 0.000 0.000 Au
0.500 0.500 0.000 Au
```

Top 6 peaks for 2θ from 15° to 90°, by angle:
- 2θ = 29.63°, intensity 31
- 2θ = 32.02°, intensity 100
- 2θ = 34.36°, intensity 34
- 2θ = 34.58°, intensity 63
- 2θ = 34.87°, intensity 40
- 2θ = 37.79°, intensity 29

***

[3]
Dy3Cu3Au: computed powder XRD pattern (copper Kα), based on a structure optimized by DFT (GGA-PBE).

Crystal structure
```
Dy3Cu3Au
1.0
3.608 0.000 0.000
0.000 4.313 0.000
0.000 0.000 19.023
Dy Cu Au
6 6 2
direct
0.000 0.000 0.000 Dy
0.000 0.000 0.374 Dy
0.000 0.500 0.181 Dy
0.500 0.000 0.681 Dy
0.500 0.500 0.500 Dy
0.500 0.500 0.874 Dy
0.000 0.000 0.545 Cu
0.000 0.000 0.834 Cu
0.000 0.500 0.615 Cu
0.500 0.000 0.115 Cu
0.500 0.500 0.045 Cu
0.500 0.500 0.334 Cu
0.000 0.500 0.750 Au
0.500 0.000 0.250 Au
```

Top 6 peaks for 2θ from 15° to 90°, by angle:
- 2θ = 24.97°, intensity 23
- 2θ = 33.73°, intensity 100
- 2θ = 34.25°, intensity 50
- 2θ = 39.18°, intensity 41
- 2θ = 41.89°, intensity 30
- 2θ = 55.18°, intensity 26

~~~~~

(1)
This entry pairs a crystal structure of Be3Fe4 with its simulated X-ray powder pattern. Radiation: Cu Kα X-rays. Structure: a cell relaxed with GGA-PBE.

Structure:
Lattice parameters (Å, degrees): 4.213 4.213 4.358 90.00 90.00 120.00
Positions (direct):
1 Be 0.000 0.500 0.000
2 Be 0.500 0.000 0.000
3 Be 0.500 0.500 0.000
4 Fe 0.000 0.000 0.253
5 Fe 0.000 0.000 0.747
6 Fe 0.333 0.667 0.500
7 Fe 0.667 0.333 0.500

Top 8 peaks for 2θ from 5° to 70°, in order of rising 2θ:
d/Å	intensity
4.358	46
3.649	25
2.798	23
2.107	100
1.897	42
1.871	85
1.683	10
1.399	22


(2)
This entry pairs a crystal structure of Sr3Ga9Rh2 with its simulated X-ray powder pattern. Radiation: Cu Kα X-rays. Structure: a cell relaxed with GGA-PBE.

Structure:
Lattice parameters (Å, degrees): 8.530 8.530 8.530 150.26 105.77 81.95
Positions (direct):
1 Sr 0.000 0.000 0.000
2 Sr 0.317 0.317 0.000
3 Sr 0.683 0.683 0.000
4 Ga 0.026 0.673 0.353
5 Ga 0.165 0.883 0.282
6 Ga 0.321 0.673 0.647
7 Ga 0.399 0.117 0.282
8 Ga 0.500 0.000 0.500
9 Ga 0.601 0.883 0.718
10 Ga 0.679 0.327 0.353
11 Ga 0.835 0.117 0.718
12 Ga 0.974 0.327 0.647
13 Rh 0.266 0.500 0.766
14 Rh 0.734 0.500 0.234

Top 8 peaks for 2θ from 5° to 70°, in order of rising 2θ:
d/Å	intensity
2.701	45
2.681	24
2.634	100
2.491	21
2.220	34
2.189	54
2.039	31
1.497	28


(3)
This entry pairs a crystal structure of Dy2TmIn4 with its simulated X-ray powder pattern. Radiation: Cu Kα X-rays. Structure: a cell relaxed with GGA-PBE.

Structure:
Lattice parameters (Å, degrees): 8.148 8.148 8.148 142.58 142.58 53.95